Here are the latest updates on Free Fire's partnership with Netflix Money Heist.
# Inserted here: data records
[1]
A geometry-optimized BaCrO3 structure, computed with GGA+U.

Computed properties:
* energy of formation: -2.539 eV per atom

a b c (Å): 5.741 5.741 32.846
angles (deg): 90.00 90.00 120.00
Positions (direct):
1 Ba 0.000 0.000 0.606
2 Ba 0.000 0.000 0.106
3 Ba 0.333 0.667 0.321
4 Ba 0.667 0.333 0.679
5 Ba 0.000 0.000 0.394
6 Ba 0.333 0.667 0.039
7 Ba 0.333 0.667 0.179
8 Ba 0.667 0.333 0.539
9 Ba 0.667 0.333 0.961
10 Ba 0.667 0.333 0.821
11 Ba 0.667 0.333 0.250
12 Ba 0.000 0.000 0.894
13 Ba 0.333 0.667 0.461
14 Ba 0.333 0.667 0.750
15 Cr 0.333 0.667 0.646
16 Cr 0.667 0.333 0.354
17 Cr 0.333 0.667 0.565
18 Cr 0.667 0.333 0.435
19 Cr 0.000 0.000 0.210
20 Cr 0.000 0.000 0.290
21 Cr 0.667 0.333 0.146
22 Cr 0.000 0.000 0.710
23 Cr 0.000 0.000 0.500
24 Cr 0.000 0.000 0.790
25 Cr 0.333 0.667 0.935
26 Cr 0.667 0.333 0.065
27 Cr 0.333 0.667 0.854
28 Cr 0.000 0.000 0.000
29 O 0.294 0.147 0.750
30 O 0.853 0.706 0.750
31 O 0.329 0.165 0.322
32 O 0.853 0.147 0.750
33 O 0.480 0.520 0.606
34 O 0.170 0.340 0.535
35 O 0.165 0.329 0.822
36 O 0.959 0.480 0.106
37 O 0.041 0.520 0.606
38 O 0.480 0.959 0.894
39 O 0.147 0.294 0.250
40 O 0.340 0.170 0.035
41 O 0.170 0.830 0.965
42 O 0.329 0.165 0.178
43 O 0.830 0.170 0.465
44 O 0.660 0.830 0.965
45 O 0.671 0.835 0.822
46 O 0.165 0.835 0.678
47 O 0.041 0.520 0.894
48 O 0.165 0.835 0.822
49 O 0.830 0.170 0.035
50 O 0.660 0.830 0.535
51 O 0.170 0.830 0.535
52 O 0.835 0.671 0.178
53 O 0.959 0.480 0.394
54 O 0.480 0.959 0.606
55 O 0.340 0.170 0.465
56 O 0.520 0.041 0.394
57 O 0.165 0.329 0.678
58 O 0.520 0.480 0.106
59 O 0.706 0.853 0.250
60 O 0.147 0.853 0.250
61 O 0.830 0.660 0.035
62 O 0.830 0.660 0.465
63 O 0.170 0.340 0.965
64 O 0.520 0.480 0.394
65 O 0.835 0.165 0.178
66 O 0.671 0.835 0.678
67 O 0.480 0.520 0.894
68 O 0.835 0.671 0.322
69 O 0.835 0.165 0.322
70 O 0.520 0.041 0.106

[2]
A geometry-optimized BaCr10O15 structure, computed with GGA+U.

Computed properties:
* energy of formation: -2.326 eV per atom

a b c (Å): 7.856 7.856 9.628
angles (deg): 90.00 90.00 96.60
Positions (direct):
1 Ba 0.000 0.000 0.500
2 Ba 0.500 0.500 0.000
3 Cr 0.418 0.907 0.115
4 Cr 0.082 0.593 0.615
5 Cr 0.407 0.918 0.385
6 Cr 0.093 0.582 0.885
7 Cr 0.582 0.093 0.885
8 Cr 0.918 0.407 0.385
9 Cr 0.593 0.082 0.615
10 Cr 0.907 0.418 0.115
11 Cr 0.788 0.043 0.143
12 Cr 0.712 0.457 0.643
13 Cr 0.543 0.288 0.357
14 Cr 0.957 0.212 0.857
15 Cr 0.212 0.957 0.857
16 Cr 0.288 0.543 0.357
17 Cr 0.457 0.712 0.643
18 Cr 0.043 0.788 0.143
19 Cr 0.817 0.817 0.865
20 Cr 0.683 0.683 0.365
21 Cr 0.317 0.317 0.635
22 Cr 0.183 0.183 0.135
23 O 0.500 0.500 0.500
24 O 0.000 0.000 0.000
25 O 0.145 0.145 0.740
26 O 0.355 0.355 0.240
27 O 0.645 0.645 0.760
28 O 0.855 0.855 0.260
29 O 0.223 0.959 0.240
30 O 0.277 0.541 0.740
31 O 0.459 0.723 0.260
32 O 0.041 0.777 0.760
33 O 0.777 0.041 0.760
34 O 0.723 0.459 0.260
35 O 0.541 0.277 0.740
36 O 0.959 0.223 0.240
37 O 0.565 0.065 0.250
38 O 0.935 0.435 0.750
39 O 0.435 0.935 0.750
40 O 0.065 0.565 0.250
# The text goes on
Free Fire x Money Heist
1. Peak Day on 20 Sep – creating a big scene with the heist
With Peak Day taking place this weekend, Free Fire players all around the world have been tasked by The Professor to retrieve and secure Maxim, while recovering the stolen money. Maxim was detained by the police during the heist, and is now counting on his partners to get him out.
To join in the quest to secure Maxim, players can:
Log in on 20 Sep to receive a complimentary AN94 – Plan Bermuda gun skin.
- Earn "Heisted Cash" Tokens after killing enemies during the Deadbox Drop between 13 - 22 Sep. These can be exchanged for a pet Panda and the Panda Heist skin from 20 Sep.
- Jump into the long-awaited "Money Heist" game mode, where two teams of 4 go head-to-head securing money printers to print the target amount of cash in the allotted time. This new game mode is only available from 20 - 22 Sep.
2. The final part of the three-part cinematic web series will go live tomorrow
The third and final part of the cinematic web series will go live tomorrow. The web series will allow fans to learn all about how The Professor recruited Free Fire characters and planned for his greatest heist.
In the first two series, we learned of how The Professor enlisted the help of Free Fire characters to "get back what is stolen," in what he describes as "the greatest heist you'd ever join…Plan Bermuda."
These records of crystals were left in the page by mistake:
-- begin --
## KLiEr2Mo4O16 (PBE+U)

Data for KLiEr2Mo4O16 after structural relaxation.

Output
ρ: 5.2 g/cm³
Energy with MP2020 corrections: -8.14 eV per atom

Unit cell a=6.8638 b=6.8638 c=19.5752 alpha=91.24 beta=91.24 gamma=135.07
Closest atoms and distances in Å follow each position.
Fractional positions:
K: 0.0310 0.9690 0.7500  4 O 2.67-2.69
K: 0.9690 0.0310 0.2500  4 O 2.67-2.69
Li: 0.3133 0.6867 0.7500  4 O 2.03-2.08
Li: 0.6867 0.3133 0.2500  4 O 2.03-2.08
Er: 0.1457 0.8519 0.5318  8 O 2.29-2.48
Er: 0.1481 0.8543 0.9682  8 O 2.29-2.48
Er: 0.8519 0.1457 0.0318  8 O 2.29-2.48
Er: 0.8543 0.1481 0.4682  8 O 2.29-2.48
Mo: 0.2471 0.7313 0.3526  4 O 1.77-1.88
Mo: 0.2687 0.7529 0.1474  4 O 1.77-1.88
Mo: 0.4184 0.5431 0.9084  4 O 1.76-1.87
Mo: 0.4569 0.5816 0.5916  4 O 1.76-1.87
Mo: 0.5431 0.4184 0.4084  4 O 1.76-1.87
Mo: 0.5816 0.4569 0.0916  4 O 1.76-1.87
Mo: 0.7313 0.2471 0.8526  4 O 1.77-1.88
Mo: 0.7529 0.2687 0.6474  4 O 1.77-1.88
O: 0.0082 0.7310 0.1728  1 Mo 1.77
O: 0.0598 0.5807 0.4339  1 Mo 1.88
O: 0.0659 0.4709 0.2860  1 Mo 1.77
O: 0.0985 0.3988 0.1313  1 Mo 1.82
O: 0.1640 0.5043 0.9583  1 Mo 1.87
O: 0.2193 0.2587 0.5365  1 Mo 1.85
O: 0.2192 0.3136 0.3988  1 Mo 1.79
O: 0.2587 0.2193 0.0365  1 Mo 1.85
O: 0.2690 0.9918 0.3272  1 Mo 1.77
O: 0.2987 0.4803 0.6704  1 Mo 1.76
O: 0.3136 0.2192 0.8988  1 Mo 1.79
O: 0.3988 0.0985 0.6313  1 Mo 1.82
O: 0.4193 0.9402 0.0661  1 Mo 1.88
O: 0.4709 0.0659 0.7860  1 Mo 1.77
O: 0.4803 0.2987 0.1704  1 Mo 1.76
O: 0.4957 0.8360 0.5417  1 Mo 1.87
O: 0.5043 0.1640 0.4583  1 Mo 1.87
O: 0.5197 0.7013 0.8296  1 Mo 1.76
O: 0.5291 0.9341 0.2140  1 Mo 1.77
O: 0.5807 0.0598 0.9339  1 Mo 1.88
O: 0.6012 0.9015 0.3687  1 Mo 1.82
O: 0.6864 0.7808 0.1012  1 Mo 1.79
O: 0.7013 0.5197 0.3296  1 Mo 1.76
O: 0.7310 0.0082 0.6728  1 Mo 1.77
O: 0.7413 0.7807 0.9635  1 Mo 1.85
O: 0.7808 0.6864 0.6012  1 Mo 1.79
O: 0.7807 0.7413 0.4635  1 Mo 1.85
O: 0.8360 0.4957 0.0417  1 Mo 1.87
O: 0.9015 0.6012 0.8687  1 Mo 1.82
O: 0.9341 0.5291 0.7140  1 Mo 1.77
O: 0.9402 0.4193 0.5661  1 Mo 1.88
O: 0.9918 0.2690 0.8272  1 Mo 1.77



## LiFe4P3O12 (PBE+U)

Data for LiFe4P3O12 after structural relaxation.

Output
ρ: 3.9 g/cm³
Polymorph energy (0 for the lowest one): 3 meV/atom
Energy with MP2020 corrections: -7.88 eV per atom

Unit cell a=10.5099 b=10.5099 c=10.5099 alpha=142.06 beta=142.06 gamma=54.74
Closest atoms and distances in Å follow each position.
Fractional positions:
Li: 0.0000 0.0000 0.0000  4 O 2.24
Li: 0.7500 0.2500 0.5000  4 O 2.24
Fe: 0.0250 0.5250 0.5000  6 O 2.16-2.23
Fe: 0.1351 0.6250 0.0101  6 O 2.04-2.19
Fe: 0.2750 0.2750 0.0000  6 O 2.16-2.23
Fe: 0.3750 0.3851 0.5101  6 O 2.04-2.19
Fe: 0.4750 0.9750 0.5000  6 O 2.16-2.23
Fe: 0.6149 0.1250 0.9899  6 O 2.04-2.19
Fe: 0.7250 0.7250 0.0000  6 O 2.16-2.23
Fe: 0.8750 0.8649 0.4899  6 O 2.04-2.19
P: 0.0209 0.1250 0.3959  4 O 1.55-1.58
P: 0.2500 0.7500 0.5000  4 O 1.56
P: 0.3750 0.9791 0.1041  4 O 1.55-1.58
P: 0.5000 0.5000 0.0000  4 O 1.56
P: 0.7291 0.6250 0.6041  4 O 1.55-1.58
-- stop --
In the third episode, The Professor recaps the 180 million euros which has been accumulated in the bank – all from drugs, gambling, and theft – and outlines his plan to retrieve it. 6 Free Fire characters lie at the heart of The Professor's plan, and all will have to work in sync in order to achieve mission success. Watch the final part when the video drops tomorrow to find out if they manage to pull off the heist.
Catch the first 2 parts of the cinematic web series at the links below:
3. Fun ways fans can experience Plan Bermuda globally, including partnership with street artists, live-action videos, and a blimp across a capital city!
Among the highlights include:
A Free Fire x Money Heist live-action comedy mini-movie filmed exclusively for India. The video, which was filmed in Hindi and was published on YouTube last week, has since surpassed more than a million views on YouTube! Catch the mini-movie here.

# These records of crystals were left in the article by mistake
'''
1.
An optimized crystal structure of Li2Mn3SnO8. Source: the Materials Project database, functional PBE with a Hubbard U.

The structure in extended XYZ format:
```
28
Lattice="6.0595 0.0000 0.0000 -0.2255 6.2161 0.0000 -0.0960 -0.2876 8.4149" Properties=species:S:1:pos:R:3 pbc="T T T"
Li 1.3522 3.0557 1.1196
Li 1.4834 -0.1055 3.1227
Li 4.2546 6.0340 5.2922
Li 4.3858 2.8728 7.2954
Mn 0.0000 0.0000 0.0000
Mn -0.1608 2.9643 4.2075
Mn 1.2639 4.4533 6.2918
Mn 3.0298 0.0000 0.0000
Mn 2.8690 2.9643 4.2075
Mn 4.4741 1.4752 2.1231
Sn 1.3411 1.3315 6.3027
Sn 4.3969 4.5970 2.1122
O -0.0675 -0.1814 6.4971
O -0.0433 2.9557 6.1592
O 1.1761 1.5417 4.2387
O 1.2432 1.1425 8.3775
O 1.2030 4.6545 8.2764
O 1.3054 4.2611 4.3261
O 2.5323 5.9690 6.3816
O 2.7734 2.8178 6.1599
O 2.9646 3.1107 2.2550
O 3.2057 -0.0405 2.0333
O 4.4326 1.6674 4.0888
O 4.5350 1.2740 0.1386
O 4.4948 4.7861 0.0374
O 4.5619 4.3868 4.1763
O 5.7813 2.9728 2.2557
O 5.8055 6.1099 1.9178
```

Results
energy above the most stable polymorph in this dataset = 15 meV per atom
DFT total energy = -187.2 eV for the cell shown



2.
An optimized crystal structure of Li2Mn3SnO8. Source: the Materials Project database, functional PBE with a Hubbard U.

The structure in extended XYZ format:
```
14
Lattice="2.9950 1.7292 5.1150 -2.9950 1.7292 5.1150 0.0000 -3.4583 5.1150" Properties=species:S:1:pos:R:3 pbc="T T T"
Li 0.0000 0.0000 1.8684
Li 0.0000 0.0000 13.4768
Mn -1.4975 -0.8646 5.1150
Mn -1.4975 0.8646 10.2301
Mn 0.0000 1.7292 5.1150
Sn 0.0000 0.0000 7.6726
O 0.0000 -1.6028 6.3292
O -1.3880 0.8014 6.3292
O 0.0000 0.0000 4.1771
O -1.3880 -0.8014 9.0159
O 1.3880 0.8014 6.3292
O 0.0000 0.0000 11.1680
O 1.3880 -0.8014 9.0159
O 0.0000 1.6028 9.0159
```

Results
energy above the most stable polymorph in this dataset = 46 meV per atom
DFT total energy = -93.2 eV for the cell shown



Copy entry 2 word for word.
An optimized crystal structure of Li2Mn3SnO8. Source: the Materials Project database, functional PBE with a Hubbard U.

The structure in extended XYZ format:
```
14
Lattice="2.9950 1.7292 5.1150 -2.9950 1.7292 5.1150 0.0000 -3.4583 5.1150" Properties=species:S:1:pos:R:3 pbc="T T T"
Li 0.0000 0.0000 1.8684
Li 0.0000 0.0000 13.4768
Mn -1.4975 -0.8646 5.1150
Mn -1.4975 0.8646 10.2301
Mn 0.0000 1.7292 5.1150
Sn 0.0000 0.0000 7.6726
O 0.0000 -1.6028 6.3292
O -1.3880 0.8014 6.3292
O 0.0000 0.0000 4.1771
O -1.3880 -0.8014 9.0159
O 1.3880 0.8014 6.3292
O 0.0000 0.0000 11.1680
O 1.3880 -0.8014 9.0159
O 0.0000 1.6028 9.0159
```

Results
energy above the most stable polymorph in this dataset = 46 meV per atom
DFT total energy = -93.2 eV for the cell shown



energy above the most stable polymorph in this dataset of number 1 (Li2Mn3SnO8)?
15 meV per atom

=====

(1)
Compound: Li24Ti5Cr7O36
Source: the Materials Project database
Functional: PBE with a Hubbard U
Structure: relaxed

Structure (POSCAR):
```
Li24Ti5Cr7O36
1.0
5.053 0.000 0.000
-0.795 9.755 0.000
-2.507 -1.912 13.034
Li Ti Cr O
24 5 7 36
Direct
'''
# The records of crystals stop here
A Plan Bermuda blimp flew across Mexico City, reminiscent of the iconic scene in the series where The Professor uses a blimp to drop millions of euros above central Madrid.

An exclusive Free Fire x Money Heist live-action short film in Indonesia with local action star Joe Taslim. Watch the short movie here.

Local street artists in Brazil, Mexico, and Argentina took to the streets and plastered specially-designed Free Fire x Money Heist artwork in KEY attractions.
Check out the latest Free Fire MAX redeem codes here.